Genre: Drama
Records of crystals that have nothing to do with the page:
- - -
## A
Entry from Materials Project: a geometry-optimized ThSe2O6 structure (PBE-GGA).

abc: 7.2969 11.2948 6.7570
angles: 90.00 90.00 90.00
Last column: nearest neighbours and their distance in Å.
Space group Pna2_1 (No. 33)
Asymmetric unit:
Th1 0.1474 0.1458 0.0000 x4  7 O 2.33-2.56
Se1 0.0482 0.8163 0.0112 x4  3 O 1.73-1.74
Se2 0.1456 0.4580 0.0541 x4  3 O 1.71-1.77
O1 0.0316 0.6407 0.6017 x4  1 Se 1.74
O2 0.0704 0.9564 0.1160 x4  1 Se 1.74
O3 0.0719 0.2501 0.7025 x4  1 Se 1.73
O4 0.1255 0.1585 0.3427 x4  1 Se 1.73
O5 0.1887 0.8451 0.5268 x4  1 Se 1.77
O6 0.1930 0.5120 0.2843 x4  1 Se 1.71

***

## B
Entry from Materials Project: a geometry-optimized ThSe2O6 structure (PBE-GGA).

abc: 7.2773 10.9419 8.7541
angles: 90.00 124.87 90.00
Last column: nearest neighbours and their distance in Å.
Space group P2_1/c (No. 14)
Asymmetric unit:
Th1 0.2451 0.0984 0.4830 x4  8 O 2.34-2.61
Se1 0.1971 0.7148 0.9357 x4  3 O 1.71-1.76
Se2 0.2886 0.0648 0.0624 x4  3 O 1.73-1.74
O1 0.0137 0.6013 0.9176 x4  1 Se 1.76
O2 0.0629 0.7388 0.2100 x4  1 Se 1.71
O3 0.1673 0.0909 0.1825 x4  1 Se 1.74
O4 0.3839 0.6045 0.9548 x4  1 Se 1.75
O5 0.4056 0.2079 0.0886 x4  1 Se 1.73
O6 0.4755 0.0226 0.7882 x4  1 Se 1.73

***

Most stable of them? B.

***

## A
Entry from Materials Project: a geometry-optimized SiO4 structure (PBE-GGA).

abc: 4.9958 5.0828 10.7449
angles: 100.11 92.52 119.35
Last column: nearest neighbours and their distance in Å.
Space group P1 (No. 1)
Asymmetric unit:
Si1 0.0000 0.0000 0.0000 x1  2 O 1.56-1.65
Si2 0.1514 0.3904 0.3495 x1  3 O 1.58-1.65
Si3 0.7710 0.4496 0.4593 x1  5 O 1.65-1.75
O1 0.0950 0.3832 0.1765 x1  2 O 1.49
O2 0.1172 0.6896 0.4135 x1  2 Si 1.65-1.71
O3 0.1609 0.4301 0.7209 x1  1 O 1.22
O4 0.1631 0.4322 0.8343 x1  1 O 1.22
O5 0.3153 0.3248 0.1046 x1  1 O 1.49
O6 0.4599 0.3750 0.3653 x1  2 Si 1.58-1.65
O7 0.7084 0.3978 0.6123 x1  1 O 1.46
O8 0.7645 0.6976 0.5930 x1  1 O 1.46
O9 0.7961 0.1036 0.1094 x1  1 O 1.49
O10 0.8294 0.1452 0.3931 x1  2 Si 1.63-1.75
O11 0.9263 0.6601 0.9883 x1  1 Si 1.56
O12 0.9848 0.0600 0.8547 x1  1 Si 1.65, 1 O 1.71

***

## B
Entry from Materials Project: a geometry-optimized SiO4 structure (PBE-GGA).

abc: 4.9958 5.0828 10.7449
angles: 100.11 92.52 119.35
Last column: nearest neighbours and their distance in Å.
Space group P1 (No. 1)
Asymmetric unit:
Si1 0.0000 0.0000 0.0000 x1  2 O 1.55-1.57
Si2 0.1981 0.9591 0.6505 x1  2 O 1.39-1.52
Si3 0.5097 0.9494 0.1099 x1  1 O 1.50
O1 0.1165 0.1658 0.8270 x1  1 O 1.21
O2 0.1361 0.6309 0.6388 x1  1 Si 1.52
O3 0.2927 0.9688 0.0158 x1  2 Si 1.50-1.55
O4 0.2942 0.7445 0.2629 x1  1 O 1.53
O5 0.3282 0.1644 0.5052 x1  1 O 1.80, 1 Si 1.99
O6 0.3696 0.0637 0.2435 x1  1 O 1.53
O7 0.4088 0.1793 0.7552 x1  1 Si 1.39
O8 0.5268 0.5569 0.4849 x1  1 O 1.45
O9 0.6343 0.7111 0.0437 x1  2 Si 1.68-1.84
O10 0.6381 0.6683 0.3714 x1  1 O 1.45
O11 0.8848 0.9532 0.7600 x1  1 O 1.21
O12 0.9018 0.2352 0.0640 x1  1 Si 1.57

***

Most stable of them? A.

***

## A
- - -
Director: Li Nanxing
Cast: Li Nanxing, Aaron Chen, Constance Song, Honey Ma, Rebecca Lim, Dai Yang Tian, Zheng Ge Ping, Datok Ong, Rayson Tan, Phyllis Quek, Huang Shi Nan
RunTime: 1 hr 40 mins
Released By: GV
Data records, kept here for reference:
{"formula": "Re3Ru", "functional": "PBE", "state": "relaxed", "ef_ev_per_atom": -0.052, "lattice_angstrom": [[5.553, 0.000, 0.000], [-2.777, 4.809, 0.000], [0.000, 0.000, 4.426]], "species": ["Re", "Re", "Re", "Re", "Re", "Re", "Ru", "Ru"], "frac_coords": [[0.164, 0.329, 0.250], [0.164, 0.836, 0.250], [0.329, 0.164, 0.750], [0.671, 0.836, 0.250], [0.836, 0.164, 0.750], [0.836, 0.671, 0.750], [0.333, 0.667, 0.750], [0.667, 0.333, 0.250]]}

* * * * *

No. 1
Material: TiMn2O4
Method: DFT, r2SCAN
State: relaxed

Unit cell a=6.1482 b=6.1482 c=8.5915 alpha=90.00 beta=90.00 gamma=90.00
Closest atoms and distances in Å follow each position.
Sites, in units of the cell vectors:
O 0.7308 0.4858 0.9798  2 Ti 1.98-2.06, 2 Mn 2.05-2.20
O 0.2700 0.0343 0.9974  1 Ti 1.92, 2 Mn 2.05-2.13
O 0.2700 0.9657 0.5026  1 Ti 1.92, 2 Mn 2.05-2.13
Mn 0.7478 0.0000 0.7500  6 O 2.13-2.20
O 0.5142 0.7308 0.7298  2 Ti 1.98-2.06, 2 Mn 2.05-2.20
Mn 0.2509 0.7491 0.8750  4 O 2.05
O 0.9657 0.2700 0.7474  1 Ti 1.92, 2 Mn 2.05-2.13
Mn 0.0000 0.7478 0.5000  6 O 2.13-2.20
O 0.2692 0.5142 0.4798  2 Ti 1.98-2.06, 2 Mn 2.05-2.20
O 0.0343 0.7300 0.2474  1 Ti 1.92, 2 Mn 2.05-2.13
Ti 0.5000 0.2455 0.0000  6 O 1.92-2.06
O 0.7308 0.5142 0.5202  2 Ti 1.98-2.06, 2 Mn 2.05-2.20
O 0.2692 0.4858 0.0202  2 Ti 1.98-2.06, 2 Mn 2.05-2.20
Ti 0.2455 0.5000 0.2500  6 O 1.92-2.06
O 0.0343 0.2700 0.2526  1 Ti 1.92, 2 Mn 2.05-2.13
O 0.7300 0.9657 0.4974  1 Ti 1.92, 2 Mn 2.05-2.13
Mn 0.7491 0.7491 0.1250  4 O 2.05
O 0.9657 0.7300 0.7526  1 Ti 1.92, 2 Mn 2.05-2.13
Mn 0.2522 0.0000 0.2500  6 O 2.13-2.20
O 0.4858 0.2692 0.2298  2 Ti 1.98-2.06, 2 Mn 2.05-2.20
Ti 0.5000 0.7545 0.5000  6 O 1.92-2.06
O 0.4858 0.7308 0.2702  2 Ti 1.98-2.06, 2 Mn 2.05-2.20
Ti 0.7545 0.5000 0.7500  6 O 1.92-2.06
Mn 0.7491 0.2509 0.3750  4 O 2.05
Mn 0.0000 0.2522 0.0000  6 O 2.13-2.20
O 0.7300 0.0343 0.0026  1 Ti 1.92, 2 Mn 2.05-2.13
Mn 0.2509 0.2509 0.6250  4 O 2.05
O 0.5142 0.2692 0.7702  2 Ti 1.98-2.06, 2 Mn 2.05-2.20

Calculated values
Energy of formation   -2.5895 eV/atom
Uncorrected energy   -0.4427 Ha/atom
SG   No. 95
Volume   11.60 Å³ per atom

No. 2
Material: EuIn4Cu
Method: DFT, r2SCAN
State: relaxed

Unit cell a=8.7815 b=8.7815 c=7.3844 alpha=90.00 beta=90.00 gamma=150.22
Closest atoms and distances in Å follow each position.
Sites, in units of the cell vectors:
Eu 0.8801 0.1199 0.7500  11 In 3.26-3.61, 2 Cu 3.44
Eu 0.1199 0.8801 0.2500  11 In 3.26-3.61, 2 Cu 3.44
In 0.3141 0.6859 0.0495  3 Cu 2.66-2.79, 1 In 2.96
In 0.6859 0.3141 0.5495  3 Cu 2.66-2.79, 1 In 2.96
Cu 0.2275 0.7725 0.7500  7 In 2.64-2.79
Cu 0.7725 0.2275 0.2500  7 In 2.64-2.79
In 0.5000 0.5000 0.5000  6 In 3.16-3.18
In 0.9281 0.0719 0.2500  1 Cu 2.64
In 0.6859 0.3141 0.9505  3 Cu 2.66-2.79, 1 In 2.96
In 0.3141 0.6859 0.4505  3 Cu 2.66-2.79, 1 In 2.96
In 0.0719 0.9281 0.7500  1 Cu 2.64
In 0.5000 0.5000 0.0000  6 In 3.16-3.18

Calculated values
Energy of formation   -0.3672 eV/atom
Uncorrected energy   -0.8690 Ha/atom
SG   No. 63
Volume   23.57 Å³ per atom
Rating: PG (Gambling Theme)
Official Website:
Opening Day: 14 April 2011
Shin Tian Cai since young was very much influenced by his gambling addicted father. He was known among his peers to be the junior gambling king. When he was 8 years old, his father died in a fire leaving behind Tian Cai to fend for himself.
As years go by…
Tian Cai got married to Zhi Hui who is about to give birth. Tian Cai gambled to support his family and he believes that through gambling he would make himself rich. Tian Cai contacted Honey, who is a junket and has a deep admiration for Tian Cai, in hope that she will be able to introduce him into the high-rollers gambling circle. In order to impress and get closer to Tian Cai, Honey introduced him to high-stakes games. With Tian Cai’s innate gambling instinct and talent, he managed to make a huge windfall. Tian Cai’s talent in the gambling meets has generated envy and hatred from a Taiwanese tycoon Li Guan Jun. Each step that Tian Cai takes, is bringing him closer to his nemesis….
Movie Review:
Records of crystals, as found in the file =
-- begin --
# EuIr2

A relaxed structure of EuIr2 (PBE-GGA, the Materials Project database).

The structure in POSCAR format:
```
EuIr2
1.0
0.000 3.836 3.836
3.836 0.000 3.836
3.836 3.836 0.000
Eu Ir
2 4
Cartesian
0.959 0.959 0.959
6.713 6.713 6.713
3.836 1.918 1.918
1.918 3.836 1.918
1.918 1.918 3.836
3.836 3.836 3.836
```

***

# Ag3As

A relaxed structure of Ag3As (PBE-GGA, the Materials Project database).

The structure in POSCAR format:
```
Ag3As
1.0
-2.102 2.102 4.175
2.102 -2.102 4.175
2.102 2.102 -4.175
Ag As
3 1
Cartesian
0.000 0.000 0.000
2.102 0.000 2.088
0.000 2.102 2.088
0.000 0.000 4.175
```

***

| no. | energy (Ry per atom) | ρ (g cm⁻³) | formation enthalpy at 0 K (meV per atom) |
| --- | --- | --- | --- |
| 1 | -0.7222 | 15.783 | -515.1 |
| 2 | -0.2348 | 8.970 | 94.4 |

=====

1.
# Li2AlRh

A relaxed structure of Li2AlRh (PBE, the Materials Project). Values from VASP.

Summary:
Formation energy in eV per atom: -0.49

```
&SYSTEM
  ibrav = 0, nat = 4, ntyp = 3
/
ATOMIC_SPECIES
Li 6.94 Li.upf
Al 26.98 Al.upf
Rh 102.91 Rh.upf
ATOMIC_POSITIONS crystal
Li 0.0000 0.0000 0.0000
Li 0.2500 0.2500 0.2500
Al 0.5000 0.5000 0.5000
Rh 0.7500 0.7500 0.7500
CELL_PARAMETERS angstrom
0.0000 3.0045 3.0045
3.0045 0.0000 3.0045
3.0045 3.0045 0.0000
```

2.
# HoNiGe2

A relaxed structure of HoNiGe2 (PBE, the Materials Project). Values from VASP.

Summary:
Formation energy in eV per atom: -0.68

```
&SYSTEM
  ibrav = 0, nat = 8, ntyp = 3
/
ATOMIC_SPECIES
Ho 164.93 Ho.upf
Ni 58.69 Ni.upf
Ge 72.64 Ge.upf
ATOMIC_POSITIONS crystal
Ho 0.1079 0.8921 0.7500
Ho 0.8921 0.1079 0.2500
Ni 0.3229 0.6771 0.7500
Ni 0.6771 0.3229 0.2500
Ge 0.2516 0.7484 0.2500
Ge 0.4592 0.5408 0.7500
Ge 0.5408 0.4592 0.2500
Ge 0.7484 0.2516 0.7500
CELL_PARAMETERS angstrom
2.0416 -8.4035 0.0000
2.0416 8.4035 0.0000
0.0000 0.0000 4.1738
```

3.
# Zr8Ni21

A relaxed structure of Zr8Ni21 (PBE, the Materials Project). Values from VASP.

Summary:
Formation energy in eV per atom: -0.43

```
&SYSTEM
  ibrav = 0, nat = 29, ntyp = 2
/
ATOMIC_SPECIES
Zr 91.22 Zr.upf
Ni 58.69 Ni.upf
ATOMIC_POSITIONS crystal
Zr 0.0670 0.0377 0.2475
Zr 0.2517 0.5635 0.9662
Zr 0.2526 0.4403 0.3927
Zr 0.4306 0.0956 0.6855
Zr 0.5694 0.9044 0.3145
Zr 0.7474 0.5597 0.6073
Zr 0.7483 0.4365 0.0338
Zr 0.9330 0.9623 0.7525
Ni 0.0153 0.2922 0.7257
Ni 0.0153 0.6173 0.7557
Ni 0.1824 0.2562 0.9520
Ni 0.1836 0.9011 0.9642
Ni 0.1966 0.7547 0.4586
Ni 0.2133 0.1146 0.4702
Ni 0.3638 0.7873 0.6576
Ni 0.3809 0.4448 0.6515
Ni 0.4008 0.7202 0.1542
Ni 0.4020 0.2406 0.1525
Ni 0.5000 0.0000 0.0000
Ni 0.5980 0.7594 0.8475
Ni 0.5992 0.2798 0.8458
Ni 0.6191 0.5552 0.3485
Ni 0.6362 0.2127 0.3424
Ni 0.7867 0.8854 0.5298
Ni 0.8034 0.2453 0.5414
Ni 0.8164 0.0989 0.0358
Ni 0.8176 0.7438 0.0480
Ni 0.9847 0.3827 0.2443
Ni 0.9847 0.7078 0.2743
CELL_PARAMETERS angstrom
6.4512 0.0000 0.0000
2.0474 7.8183 0.0000
3.2056 1.4002 7.8201
```

4.
# TbDyAl4

A relaxed structure of TbDyAl4 (PBE, the Materials Project). Values from VASP.

Summary:
-- stop --
Perhaps the most memorable role of veteran TV actor Li Nanxing’s career is that opposite Zoe Tay’s Luo Qifang as the professional gambler Yan Fei in “The Unbeatables”, and it seems befitting therefore that his big-screen acting and directorial debut would again revolve around the theme of gambling. The subject is also a deeply personal one for the star, given his revelations last year about his own difficulties with gambling and debt after a business venture went awry in the late 1990s.
This movie therefore comes even more eagerly anticipated especially for fans of Nanxing, who are raring to see him reprise his suave and debonair persona in the TV series. Nevertheless, it’s best to temper your expectations beforehand, for despite the thematic similarities, you won’t get to see Nanxing in full “Unbeatables” glory. For one, the stakes are much lower since there is no competition for some title; for another, this is yet another cautionary tale of gambling.
Like last year’s “Happy Go Lucky”- hands down the most god-awful local movie of the year- “The Ultimate Winner” arms itself with a social cause, that of casting light on the seemingly insidious lure of gambling for addicts and the subsequent ill consequences on family and other relationships- which by extension compels the film to downplay the glories of winning. The association between the two films isn’t in itself a bad thing, except that both movies are scripted by the same person- Harry Yap. While this latest is certainly much better than his previous, Yap’s writing still leaves much to be desired.
Those who have had the misfortune of seeing his former will recognise the same faults in both, beginning with an utter lack of character development. Supporting characters are uniformly one-note- Rebecca Lim’s Zhi Hui is the long-suffering wife of a gambling addict; Constance Song’s Honey Ma is the rich businesswoman who has an unrequited love for Nanxing’s Tian Cai; and Dai Yang Tian is the personal assistant to rich tycoon Champion Lee (Aaron Chan) with a knack for gambling. There’s little more to these characters beyond what has been described above, and little more you’ll know about them at the end of the movie than when they first appear.
But most unfortunate is the poor characterisation of even its lead, Tian Cai (yes, Nanxing’s character), who comes off equally shallow as little more than a good guy with a gambling habit inherited from his father. So decent is he that his worst indulgence appears to be buying a new sports car with his newfound gambling riches and almost knocking down his daughter while picking her up from kindergarten- perhaps the only message hardcore gamblers can glean from this is to drive slower along small roads?
If Tian Cai isn’t an interesting character to begin with, the same can also be said about the poorly fleshed out relationships that he has with the other characters. Why would Zhi Hui, given her aversion to gambling, marry a pervasive gambler like Tian Cai in the first place? Why would Honey Ma fall in love with someone as nondescript as Tian Cai and better still, persist in her love for him when men of her stature like Champion come knocking? Little explanation is given for either, and the failure of the former is especially fatal for the film’s attempt to portray the ill-effects of gambling on family- how are we to believe that Tian Cai’s gambling was what tore his and Zhi Hui’s marriage apart when we can’t be convinced of their love for each other?
Because it has somehow deluded itself that it is a character-driven drama, not enough thought has been given to its plot, which unfolds in three equally weak acts. A supposed emotional twist that leads to the conclusion of act one and the temporary reform of Tian Cai’s gambling habit is laughable; another supposed emotional twist in the second act (involving a suicidal Rayson Tan) strains credibility; and finally, the supposed showdown between Tian Cai and the tycoon Champion amounts to a storm in a teacup. As if fearful that the climactic gambling match may leave viewers wanting more, there is a- actually make that two- last-minute twists right before the end that are just plain dumb.
To be sure, Li Nanxing reveals a good ability at staging scenes- the first third of the movie before the plot and characterisation gives way trots along with a sure and steady hand; and the car racing sequences along the streets of Chinatown and the Esplanade Bridge look impressive. But even his best efforts can’t redeem the bad scriptwriting, and the faults of the movie become only more obvious as it plods to its end.
More disturbing however is Nanxing’s obvious attempt to turn this movie into an exercise in evangelism. There are far more Christian references here than this reviewer was comfortable with- including characters talking about “God and His love”, multiple shots of a huge cross that is part of the façade of a church Zhi Hui and her sister and brother-in-law attend, and also several shots of people clasping their hands in prayer. The unambiguous subtext here is that Tian Cai found his way out of gambling and back on the right path through Christianity (seeing as how Tian Cai is seen in the movie refusing to embrace the faith, sitting outside the Chapel while his wife and daughter are in service inside) and that is bound to be objectionable to some.
Had this movie been positioned as an evangelical movie like “Fireproof” or “Facing the Giants” in the United States, these overt references would probably be more palatable- but to sneak them up on a mainstream audience of different faiths is troubling. The last straw for this reviewer was when the movie concluded with Tian Cai reconciled with his wife Zhi Hui distributing flyers in front of the Toa Payoh Public Library to passers-by, inviting them to join their church. Not to be presumptuous, but it stands to reason if such proselytisation should be allowed in the first place.
It explains however the name of the production company behind this movie, a hitherto-unknown Cornerstone Pictures, the Biblical reference unmistakable. But Christian references aside, this is still a deeply flawed movie that wastes the potential of its actors (especially the renowned “Taiwan Ah Seng” and “Taiwan Thunderbolt Fire” actor Aaron Chen) as well as the expectations of its audience waiting to see an “Unbeatable” comeback from Li Nanxing. It’s no secret that local productions need support from local audiences and critics alike, but there needs to be reason for that support, and “The Ultimate Winner” ultimately offers little.
Movie Rating: 
(Hardly a winner- no thanks to a laughable plot, poorly defined characters and a ill-advised attempt at Christian evangelism)
Review by Gabriel Chong